Do you often stop to reflect on the driving force behind your company’s decisions and how to assess their effectiveness?
Each year, the Health and Safety Index meticulously analyses benchmark data which allows us to identify unveiling emerging trends, spotlighting potential concerns, and extracting invaluable insights to enrich our collective knowledge.
**Unrelated to this piece: records of molecules**
********
Computed, not measured: an isolated molecule of C4H8N4, with ωB97M-V/def2-TZVPD.

```
16
Properties=species:S:1:pos:R:3:lowdin_charge:R:1
N -2.527 0.110 -0.067 -0.0295
N 2.442 -1.387 -0.204 -0.0038
N 1.358 -0.540 -0.034 -0.0819
N -1.170 0.226 -0.199 -0.0500
C 0.753 1.710 0.020 -0.1271
C -0.588 1.466 -0.048 -0.1152
C 1.691 0.666 0.077 -0.2326
C -2.919 -1.081 0.043 -0.0645
H -3.983 -1.255 0.170 0.0600
H 3.167 -1.302 0.533 0.0948
H -1.238 2.337 -0.124 0.1117
H -0.538 -0.575 -0.096 0.0935
H 2.717 1.039 0.070 0.1175
H 1.987 -2.225 -0.037 0.0354
H 1.085 2.763 -0.202 0.1094
H -2.236 -1.955 0.097 0.0822
```

E_HOMO, eV: -7.6
HOMO-LUMO gap, eV: 8.50
Maximum force, eV/Å: 2.62
LUMO energy, eV: 0.9

* * * * *

# 1
Molecular formula: C31H33ClN2O5RuS2Si
Method: DFT, the ωB97M-V functional and the def2-TZVPD basis

Geometry as XYZ:
```
76
Properties=species:S:1:pos:R:3:forces:R:3
Ru 1.16336 1.38596 1.24161 -0.2 0.0 0.5
C -1.12659 -6.07500 2.67859 0.0 0.0 0.0
C -0.27221 -4.86143 2.44150 0.0 0.0 0.0
C -0.85735 -3.62274 2.17518 0.0 0.0 0.0
C -0.08651 -2.49286 1.97324 0.0 0.0 0.0
C 1.29587 -2.61274 2.03552 0.1 0.0 0.0
C 1.90444 -3.83002 2.29580 0.0 0.0 0.0
C 1.11531 -4.95013 2.50315 0.0 0.0 0.0
S 2.36625 -1.23480 1.70826 0.1 0.3 -0.3
O 1.59509 -0.60227 0.32604 -0.7 -0.2 0.2
O 1.44464 -2.77484 -1.03857 0.1 0.0 0.0
N 2.09557 -0.08195 2.72272 0.3 0.1 0.0
C 1.17473 -0.18823 3.85693 -0.1 0.0 -0.1
C -0.15720 0.53551 3.62335 0.1 0.0 0.0
O -0.83145 0.88803 4.58234 0.0 0.0 0.0
O -0.46401 0.68276 2.38253 0.0 0.0 -0.1
H -2.08520 -5.98738 2.16902 0.0 0.0 0.0
H -1.32791 -6.19757 3.74495 0.0 0.0 0.0
H -0.63128 -6.98046 2.32934 0.0 0.0 0.0
H -1.93672 -3.54505 2.12475 0.0 0.0 0.0
H -0.53740 -1.52657 1.77565 0.0 0.0 0.0
H 2.98556 -3.90352 2.32241 0.0 0.0 0.0
H 1.58233 -5.90715 2.70245 0.0 0.0 0.0
H 1.66695 0.22775 4.73430 0.0 0.1 0.0
H 0.92841 -1.22909 4.08952 0.0 0.0 0.0
C -0.68645 4.34250 4.01451 0.0 -0.1 0.0
C 0.16933 3.61493 3.09574 0.4 0.3 0.1
N 0.87548 3.03004 2.40803 -0.5 -0.5 -0.3
H -0.08762 5.01583 4.62531 0.0 0.0 0.0
H -1.17899 3.60284 4.64845 0.0 0.0 0.0
H -1.43182 4.91040 3.45861 0.0 0.0 0.0
C -0.00198 -0.43993 -1.99585 0.1 0.0 0.0
Si 1.56090 -1.12761 -1.27489 0.1 0.1 -0.2
C 3.13832 -0.75197 -2.17215 0.0 0.0 0.0
C 1.69490 -3.75744 -1.94669 0.0 0.0 0.0
C 1.46978 -3.57536 -3.30676 0.0 0.0 0.0
C 1.72885 -4.61170 -4.19284 0.0 0.0 0.0
C 2.20201 -5.83067 -3.73210 0.0 0.0 0.0
C 2.41607 -6.00777 -2.37100 0.0 0.0 0.0
C 2.16589 -4.97865 -1.47838 0.0 0.0 0.0
H 0.16296 -0.03621 -2.99687 0.0 0.0 0.0
H -0.36487 0.37334 -1.36510 0.0 0.0 0.0
H -0.77149 -1.21288 -2.04930 0.0 0.0 0.0
H 2.93991 -0.24825 -3.11939 0.0 0.0 0.0
H 3.70545 -1.66260 -2.37512 0.0 0.0 0.0
H 3.73938 -0.07046 -1.57005 0.0 0.0 0.0
H 1.08912 -2.62709 -3.66926 0.0 0.0 0.0
H 1.55508 -4.46154 -5.25068 0.0 0.0 0.0
H 2.40137 -6.63619 -4.42585 0.0 0.0 0.0
H 2.78439 -6.95593 -2.00031 0.0 0.0 0.0
H 2.32519 -5.10073 -0.41495 0.0 0.0 0.0
Cl 2.62359 2.34179 -0.44684 0.1 -0.1 0.1
O -0.42480 2.13997 0.07189 0.2 -0.1 -0.2
********
Just like a car needs regular servicing for smooth operation, your business requires periodic check-ups to uncover blind spots in specific areas and proactively implement measures for continuous improvement.
Enter our Health and Safety Index tool which is an intuitive online survey crafted to empower organisations in measuring their performance, pinpointing areas for enhancement, and strategically taking actions to effect positive change in safety performance.
Below we explore the 2023 trends to be considered when developing your next strategy. Our goal is to provide this information for a safer, healthier future in the industry!
Benchmarks 2022 vs 2023
The overall Health and Safety Index results from 2022 vs 2023 was 74% or “capable“. This is a significant improvement of 4% compared to the relatively stable 1% increase from the previous years. Notwithstanding this, there were specific areas that had much larger shifts, and we continued to see certain trends continue year-on-year from 2020, affecting overall safety performance.
Of our four Aspects, Health & Wellbeing continues to be the lowest-scoring aspect.
Positive Industry Trends
- Workplace positively impacts my health & wellbeing. ^5% improvement
- Workers hold each other accountable for unacceptable behaviors. ^5% improvement
Improvements in workplace health and wellbeing can be achieved through the establishment of a strong safety culture, clear health and safety information, comprehensive safety training, and effective leadership. By encouraging employees to support each other, maintain open communication, and reporting concerns contributes to a positive workplace environment that values wellbeing and mutual accountability.
Negative Industry Trends
- Health & safety actions are resolved in a timely manner. 4% poorer result
Health and safety actions may be delayed due to resource constraints, a lack of priority, and communication issues. To address this, organisations can allocate adequate resources (refer to our blog on Business Process Outsourcing for HSE professionals) for safety management, prioritise safety as a core value, and improve safety communication channels to ensure timely reporting and resolution of safety actions.
- Visible senior management in safety conversations. 4% poorer result
The lack of visible senior management in safety conversations can result from competing priorities, a perceived lower value of safety discussions and insufficient awareness of their due diligence. To address this, organisations can provide safety training and education to senior managers about the impact of their involvement in health and safety culture and establish clear expectations for their engagement in safety initiatives. Building a robust safety culture that emphasises leadership commitment and accountability can encourage senior management to actively participate in safety conversations.
Mental Health & Wellbeing Outcomes: 19% down
- My job adversely affects my health & wellbeing
- In the past four weeks, work has negatively impacted on my ability to sleep
- Work negatively impacting sleep was worse for shift workers
**Misplaced quantum chemistry results:**
'''
#P
Computed, not measured: a structure of composition C26H28Cl2N7O2SSiW, with ωB97M-V/def2-TZVPD.

```
! wB97M-V def2-TZVPD RIJCOSX def2/J DEFGRID3
* xyz 1 3
W -0.437 0.288 -0.733
O 1.889 4.445 -3.511
C 1.433 5.037 -2.409
C 1.560 6.425 -2.308
C 1.089 7.095 -1.204
C 0.483 6.399 -0.160
C 0.355 5.035 -0.233
C 0.825 4.328 -1.350
C 0.657 2.891 -1.393
O 0.093 2.236 -0.431
N 1.079 2.190 -2.438
N 0.798 0.886 -2.275
C 1.375 0.024 -3.098
C 1.144 -1.333 -2.793
C 1.761 -2.384 -3.490
C 1.583 -3.679 -3.069
C 0.762 -3.900 -1.961
C 0.155 -2.829 -1.339
N 0.316 -1.544 -1.715
H 1.733 3.478 -3.464
H 2.035 6.938 -3.127
H 1.185 8.166 -1.147
H 0.129 6.933 0.706
H -0.103 4.478 0.572
H 2.027 0.354 -3.894
H 2.380 -2.143 -4.339
H 2.048 -4.503 -3.586
H 0.584 -4.900 -1.597
H -0.514 -3.023 -0.508
C 2.583 -3.466 1.695
Si 1.643 -2.878 3.246
C 1.217 -4.343 4.381
C 2.532 -1.498 4.195
C -0.024 -2.251 2.547
C -1.243 -2.786 2.912
C -2.412 -2.470 2.207
C -2.320 -1.675 1.093
N -1.147 -1.128 0.707
C -0.032 -1.353 1.468
S 1.308 -0.377 1.001
H 3.418 -4.102 1.972
H 2.988 -2.627 1.137
H 1.943 -4.033 1.022
H 2.127 -4.796 4.757
H 0.662 -5.120 3.865
H 0.640 -4.033 5.246
H 3.474 -1.856 4.598
H 1.935 -1.146 5.030
H 2.752 -0.654 3.551
H -1.292 -3.460 3.752
H -3.367 -2.876 2.497
H -3.181 -1.447 0.475
Cl -2.745 -2.060 -2.056
C -2.997 -1.592 -3.738
Cl -1.475 -0.970 -4.387
H -3.743 -0.795 -3.753
H -3.296 -2.479 -4.295
N -1.936 1.169 2.148
C -2.743 2.071 2.727
C -3.231 2.878 1.725
C -2.651 2.391 0.553
N -1.868 1.346 0.814
H -1.376 0.471 2.623
H -2.932 2.076 3.781
H -3.905 3.701 1.831
H -2.769 2.754 -0.450
N -2.930 1.218 -2.594
C -2.032 0.812 -1.990
*
```

Results
Kohn-Sham gap (alpha / beta)	6.64 / 5.90	eV
HOMO level (alpha / beta)	-10.722 / -10.703	eV

***

#Q
Computed, not measured: a structure of composition C26H28Cl2N7O2SSiW, with ωB97M-V/def2-TZVPD.

```
! wB97M-V def2-TZVPD RIJCOSX def2/J DEFGRID3
* xyz 1 3
W 0.866 0.664 -1.331
O 1.704 -2.682 3.027
C 0.621 -1.954 3.334
C -0.076 -2.305 4.492
C -1.200 -1.603 4.867
C -1.666 -0.528 4.105
C -0.983 -0.170 2.968
C 0.169 -0.864 2.565
C 0.837 -0.458 1.337
O 0.417 0.602 0.705
N 1.858 -1.141 0.872
N 2.256 -0.582 -0.309
C 3.396 -0.911 -0.808
C 3.769 -0.172 -1.988
C 4.994 -0.313 -2.615
C 5.298 0.516 -3.681
C 4.365 1.460 -4.074
C 3.150 1.529 -3.418
N 2.834 0.727 -2.392
H 2.067 -2.372 2.173
H 0.288 -3.143 5.070
H -1.729 -1.894 5.766
H -2.553 0.013 4.406
H -1.322 0.655 2.356
H 4.033 -1.641 -0.325
H 5.690 -1.058 -2.257
H 6.247 0.429 -4.191
H 4.557 2.135 -4.895
H 2.392 2.223 -3.742
C -2.475 -3.330 0.669
Si -3.486 -2.656 -0.751
C -5.305 -2.675 -0.331
C -3.181 -3.582 -2.339
C -2.986 -0.829 -0.948
C -3.868 0.210 -0.678
C -3.467 1.549 -0.680
C -2.148 1.836 -0.925
N -1.286 0.852 -1.204
C -1.678 -0.432 -1.249
S -0.311 -1.449 -1.655
H -2.752 -4.365 0.882
H -2.638 -2.744 1.577
H -1.408 -3.310 0.440
H -5.638 -3.708 -0.216
H -5.910 -2.225 -1.121
H -5.522 -2.159 0.607
H -3.505 -4.619 -2.225
H -2.128 -3.589 -2.619
H -3.748 -3.144 -3.164
H -4.901 -0.021 -0.446
'''
‘Adverse effect of job on health and wellbeing’ improved ↑ 4%
However, at 50%, ‘Adverse effect of job on health and wellbeing’ was still the poorest result among the 55 health and safety index questions.
Focus Group: shift workers vs non-shift workers
When analysing benchmark data, it’s crucial to evaluate its effects not only on individual mental well-being but also on workplace culture as a whole. Shift workers often constitute the minority in most organisations, and it’s noteworthy that Health and Safety Index results, a key safety data metric, consistently indicate lower scores for this demographic.
Moreover, a notable contrast exists in terms of sleep quality between shift workers and non-shift workers:
“In the last four weeks, work has negatively impacted on my ability to sleep”.
- Shift workers at 39%
- Non-shift workers at 58%
Levers for Action
The Health and Safety Index has been designed to provide ‘Levers’ for action. We provide approximately 12 possible levers for action to provide guidance on strategic choices.
Based on our 2023 benchmark data analysis, we recommend four core areas to improve Health & Wellbeing in the workplace.
- Accountability: Ensure there is a culture of self-regulation to continually improve, e.g., organisational accountability and empowering colleagues to hold each other accountable.
- Change Management: Create operational readiness, capacity, and capability when things are modified or altered to reduce the uncertainty of risk, e.g., adapt systems and capability with a remote workforce, remote contractor mobilisation and work from home arrangements.
- Values & Beliefs: Empower your workforce believe in what is important and right that helps to encourage desired actions and behaviors. This also discourages undesired behavior such as bullying and pressure to compromise safety
- Communication: Provide effective consultation, communication, a link between job and company goals, and action resolution in a timely manner.
If you’d like to identify your unknowns and explore strategies for improving safety performance and strategic planning for your oganisation, don’t hesitate to get in touch with us.